FROM THE HEART… - Hailey`s Hope Foundation


FROM THE HEART… - Hailey`s Hope Foundation
December 2015
Supporting families with premature and critically ill babies in New York-area NICUs
and helping improve health outcomes of NICU babies
Nobody chooses to be a NICU parent. It is traumatizing, stressful, and expensive
to say the least. With over 400,000 newborns admitted to the NICU each year in
the U.S, however, becoming a NICU parent is a reality for many. Their struggles
and challenges are overwhelming, and Hailey’s Hope Foundation is there to help.
Since 2008, Hailey’s Hope Foundation has raised over $1.3 million and helped
over 4,500 families in need in the NICU. Each year, the continued support and
generosity of our incredible donors and volunteers has enabled us to help these
families cope and their babies get better during this very difficult time. 2015 was
no exception. This year, HHF:
• fulfilled an average of 45 applications per month for financial support from
NICU families in need.
• distributed an average of $12,000 per month in financial support to NICU
families in need.
• delivered over 1,000 care packages to NICU families.
• visited over 100 families at our partnered hospitals to offer emotional support
during their baby’s long NICU stay.
• funded NICU Photography and Scrapbooking programs at The Children’s
Hospital at Albany Medical Center, giving the gift of special memories to
NICU families.
• provided over 100 lifesaving Infant CPR kits and other family-centered care
supplies to the NICU at The Rowley Birthing Center at Orange Regional
Medical Center.
Looking ahead to 2016, we plan to expand our initiatives to include supporting a
NICU Parent Mentor program, implementing a pilot program to enhance
kangaroo care and its safety in the NICU, and renovating a special NICU family
room at ORMC for parents to stay overnight and by their baby’s bedside.
Beach Bash
Rye, NY
June 4, 2016
8th Annual Dinner Auction
Campbell Hall, NY
September 10, 2016
5th Annual Golf Outing
Purchase, NY
September 26, 2016
Check for details and updates
on our website at
“You are indeed angels there to help us parents who go through such a hard time with our little angels. Thank you for the
amazing work you are doing.” The Estinforts
## Attached: data records
Record 1
28
Properties=species:S:1:pos:R:3:forces:R:3 method="wB97M-V/def2-TZVPD" homo_ev=-12.19 de_lowest_kj_mol=265.3 charge=+1
N -2.034 1.603 -0.285 0.27 1.49 3.88
C -0.593 2.174 -0.441 1.35 -1.41 -0.75
C 0.209 1.177 -1.398 -1.58 0.38 0.22
N 0.311 -0.218 -0.911 -1.12 1.14 1.97
C 0.014 -2.010 0.770 -1.64 -0.61 -1.12
C 0.566 -0.574 0.550 2.31 -0.43 -0.44
C 2.148 -0.537 0.783 0.93 -2.18 -0.98
H -2.564 1.962 -1.081 -0.29 -0.66 0.31
H -1.995 0.584 -0.157 0.10 0.00 -0.92
H -2.531 1.869 0.721 1.25 -0.41 -2.94
H -0.036 2.330 0.488 -0.81 -0.35 0.25
H -0.633 3.145 -0.931 -0.41 -0.12 -0.03
H 1.142 1.677 -1.782 -0.80 -0.46 0.59
H -0.544 1.093 -2.217 1.03 0.20 -0.24
H 1.021 -0.705 -1.424 0.35 -0.19 -0.33
H 0.036 -2.373 1.773 0.46 0.02 0.86
H 0.403 -2.799 0.133 1.65 0.28 -0.05
H -1.012 -2.339 0.413 0.14 1.86 0.59
H 0.333 0.112 1.396 -1.34 -0.01 -1.25
H 2.569 -1.594 0.552 -0.62 1.74 0.33
H 2.719 0.140 0.091 -0.91 -0.39 0.59
H 2.473 -0.312 1.805 -0.39 0.04 -0.08
H -3.141 0.962 3.391 -0.16 -0.05 -0.35
H -4.001 0.050 2.431 1.31 1.96 0.18
O -3.426 0.889 2.466 -0.99 -1.77 -0.13
H 2.227 -2.242 -2.686 -4.36 -2.27 -4.71
H 3.566 -2.101 -2.379 7.00 -1.07 -2.38
O 2.773 -1.962 -2.071 -2.72 3.28 6.94

=====

Record 2
30
Properties=species:S:1:pos:R:3:forces:R:3 method="wB97M-V/def2-TZVPD" homo_ev=-2.89 de_lowest_kj_mol=136.9 charge=-1
C 1.932 -1.248 0.312 -1.60 -1.04 3.12
N 1.488 -0.508 1.540 1.49 0.66 -0.60
C 1.813 0.958 1.451 -1.95 -0.09 -1.71
C 0.416 1.676 1.445 2.47 1.59 2.45
S 0.542 3.532 1.409 0.14 -0.66 -0.02
C 0.689 -1.803 -0.394 -1.71 -0.33 0.80
N -0.705 -1.256 0.021 1.82 0.36 0.36
C 0.778 -1.682 -1.897 -1.01 0.16 -0.64
H 2.529 -0.636 -0.308 0.69 0.63 -0.65
H 2.475 -2.156 0.662 0.19 0.66 -0.55
H 1.769 -0.885 2.449 0.24 -0.07 -0.85
H 2.516 1.298 2.216 -0.38 0.15 -0.03
H 2.194 1.206 0.437 0.48 -0.36 0.67
H 0.104 1.365 2.449 -1.10 0.10 -0.33
H -0.196 1.322 0.651 -0.48 -0.78 -0.35
H 0.555 -2.788 0.067 0.68 -0.51 -1.10
H -1.237 -2.102 0.180 -0.40 0.22 -0.28
H -0.626 -0.831 0.953 0.49 -0.10 -0.29
H 0.078 -2.291 -2.448 -0.73 -0.44 0.23
H 1.681 -1.919 -2.424 1.11 0.08 0.39
H 0.461 -0.665 -2.161 0.40 0.01 0.12
H -3.555 1.544 -0.225 -0.18 0.13 0.15
H -2.541 0.687 0.440 -0.40 0.05 0.40
O -3.505 0.853 0.449 0.73 0.00 -0.42
H -0.393 2.154 -0.824 0.29 0.16 0.28
H -0.405 3.641 -1.116 0.00 -0.37 0.51
O -0.823 2.805 -1.374 -0.51 0.16 -1.07
H -3.310 -0.637 -0.915 -0.23 -0.40 -0.30
H -1.964 -0.550 -1.462 0.37 -0.56 -0.12
O -2.759 -1.086 -1.583 -0.88 0.62 -0.17

=====

Record 3
31
Properties=species:S:1:pos:R:3:forces:R:3 method="wB97M-V/def2-TZVPD" homo_ev=-5.54 de_lowest_kj_mol=184.5 charge=-1
C -1.657 0.330 -0.429 -1.29 -2.84 2.97
O -0.972 1.343 0.147 3.91 1.25 -1.83
C -1.085 -0.644 -1.421 0.04 -0.15 -2.44
C -0.963 -2.080 -0.928 -0.08 -1.90 -0.04
C -0.655 -2.286 0.565 -0.44 -1.57 -0.84
N 2.520 -1.198 1.999 0.22 -1.47 2.63
C 1.390 -1.762 1.912 -0.32 0.64 -1.73
N 0.425 -1.435 0.949 0.01 -3.47 2.54
H -2.526 0.733 -0.797 -2.59 0.69 -1.03
H -1.912 -0.339 0.483 -0.58 0.79 -1.31
## The article goes on
“Thanks for all the wonderful support while our baby was in the NICU, you helped us more than I can ever express.” The Ryans
“We can never express how grateful we are for the amazing people at Hailey's Hope Foundation doing amazing things for
NICU families. Thank you for all of your help bringing my family back together.” The Warnes
December 2015
Jeffrey Randazzo, President
Donna Zion, Vice President
Ann Siegel, Secretary
Debra Randazzo, Treasurer
Isaac Zion
Marvin Siegel
Suzanne Decina
Dawn Singer
Keith Singer
Doreen Zion
David Decina
HHF Board members with
NICU mom, Jessica Warne
November is a special time of year for HHF—it is
Prematurity Awareness Month! People around the
world join together to raise awareness about the
serious effects of premature birth and the dire need
for resources to help families living through it.
HHF supports many families with premature
babies in the NICU, so we set out to spread the
We traveled to NICUs at The Children’s Hospital
at Albany Medical Center, Maria Fareri
Children’s Hospital and The Rowley Birthing
Center at Orange Regional Medical Center,
visiting and comforting NICU families in need
and treating them to care packages and gift cards
for meals. We also met with NICU staff to
evaluate their families needs. Friends of HHF
wore our purple preemie ribbons to show their
support for Prematurity Awareness Month and to
honor these miracle babies.
Care packages for NICU
families at The Children’s
Hospital at Albany Medical
HHF Board member
Debra Randazzo
comforting NICU
mom, Jessica Warne
P.O. Box 32
Goshen, New York 10924
(914) 584-8833
NICU nurses at Maria
Fareri Children’s
Hospital wearing our
purple ribbons
HHF Board members with NICU
Social Workers Ericka Cotugno and
Elayne Frank of The Children’s
Hospital at Albany Medical Center
HHF Board member, Ann Siegel,
handing out purple ribbons at
The Children’s Hospital at
Albany Medical Center
We would love to have your help in our efforts to
support NICU families. Please contact us at (914)
584-8833, send us an email at, or visit for more
AMC NICU nurses
Amanda Koennecke
and Kristen Sergott
with HHF Vice
President, Donna Zion
Volunteer your time and skills Ÿ Grant writing
Ÿ Social media campaigns Ÿ Graphic design
Fundraising events Ÿ Event photography Ÿ Donate
December 2015
On August 13, 2014, Nicholas
James Sivulich came into this
world at 24 weeks, weighing
only 1lb 14 oz. My pregnancy
evening. I was home relaxing
when suddenly, I began feeling
uncomfortable back pain that
increased in intensity as the
night went on. I knew something was wrong. At 8:45
pm, after speaking to my doctor who instructed me to
call 911, my water broke. My husband Michael, a
Yonkers fireman who was working that evening at the
firehouse down the road, was my first responder. He
rushed home, got me downstairs to the ambulance
and we headed for Westchester Medical Center in
Valhalla. It was the longest and most frightening ride
of our lives. We didn’t know what was happening or
if our baby would survive. After all, I was just 24
weeks pregnant. Upon my arrival at the hospital, it
was apparent that this was a critical situation. I was
immediately brought into the operating room for an
emergency C-section. Within an hour and a half of
my water breaking, Nicholas was born at 10:07 pm.
Nicholas Sivulich
born at 24 weeks,
weighing 1lb 14oz
severity of his bleed and that only
time would tell.
It was difficult to remain positive,
but I was determined, because
that's what Nicholas needed from
me. I stayed far away from the
Internet and just focused on
pumping, praying, and giving Nicholas as much love
as possible. We did everything we could to be by his
side each day. We were very lucky to have had an
extensive support system rooting for our little man
while he was in the NICU.
We recently celebrated our one-year anniversary of
coming home from the NICU. Even though we aren't
out of the woods totally, and Nicholas is in a lot of
therapy, he is doing very well. He is chatting away,
crawling, and has the best personality! He is slowly
hitting his milestones. I've learned to be patient, and
not compare my son to my friends’ babies. I recall
when Nicholas was just 3 weeks old, Michael and I
were brought into the NICU conference room and
were given a very scary possible outcome. I'll never
forget that I was told Nicholas may never walk. I can
confidently say now that he will walk, and the day he
does will be such an amazing day!
For 12 weeks, the NICU at
Medical Center was Nicholas’
home. One of the first doctors
we met with told us this
journey will be 20% medical
and 80% the fight in Nicholas and the love and
support of our family. It was an emotional roller
coaster and a new mother's nightmare. There was no
way to prepare for this difficult experience. During
our stay in the hospital there were a lot of unknowns.
It was exhausting thinking about what the future held
for us. Due to Nicholas's brain bleed, he was at high
risk for a number of severe disabilities. In the
beginning, there was no knowing what we were
dealing with. As time went by, Nicholas was showing
promising signs, but I was constantly reminded of the
We are very thankful for the quality of care Nicholas
received at Maria Fareri Children’s Hospital and for
the support of Hailey’s Hope Foundation.
December 2015
Hailey’s Hope Foundation is proud to be able to help so many NICU families and to share the progress their
miracle babies have made at home. After enduring many weeks and months in the NICU, these graduates are
happy, healthy and thriving.
Erica was born on 12/18/11 at
32 weeks gestation, weighing
3lbs 15 oz. She spent 7 months
in the NICU at Morgan Stanley
Children’s Hospital/NY
Presbyterian in Manhattan.
Deskin was born on 1/29/13
at 24 weeks gestation,
weighing 1lb 10oz. He spent
over 9 months in the NICU
at Maria Fareri Children’s
Hospital in Valhalla.
Now at age 3, Erica
loves to dance, draw
and go to the park.
Now, at age 2, Deskin
is one of the happiest
kids in the world.
Kevin was born on 12/28/09 at 23
weeks gestation, weighing 1lb 11oz.
He spent 118 days in the NICU at
Maria Fareri Children’s Hospital.
Joy was born on 5/12/12 at 23 weeks
gestation, weighing 1lb 4oz. She spent
121 days in the NICU at Maria Fareri
Children’s Hospital.
Now at age 5, he is
having fun in
Now at age 3, she loves to
watch Dora the Explorer, play with her 3
brothers and dress in style with her shiny tiara.
Twins, William and Celia, were born on 2/6/12, weighing 2lbs 2oz
and 3lbs 2oz. They spent 2 months in the NICU at Maria Fareri
Children’s Hospital. Now, at age 3, they attend nursery school and
enjoy reading, puzzles, swimming, soccer and going to the park.
(Continued on next page)
December 2015
Lilliana (Lily) was born on
6/26/12 at 24 weeks gestation,
weighing 1lb 12oz. She spent 100
days in the NICU at Maria Fareri
Children’s Hospital.
Karlie Ryan was born on
4/20/13 at 32 weeks
gestation, weighing 3lbs
8oz. She spent 29 days in
the NICU at Orange
Regional Medical Center.
Now at age 3, Lily loves
gymnastics and hanging out with
her big sister, Addie.
Now at age 2, Karlie loves to
play and do ballet.
Charity has a special place in the heart of 17-year-old Allison
(Ally) McKelvey, especially when it comes to helping families
with premature babies. Her family knows first hand the
devastating effects of premature birth. Ally’s sister, Jennifer, was
born too soon and sadly passed away. This motivated Ally to get
involved with Hailey’s Hope Foundation. She attended one of
our fundraisers and was inspired.
“I saw all of the amazing things Hailey’s Hope
Foundation does for NICU families, and I wanted
to help,” said Ally. This Spring, as a senior at S.S.
Seward Institute, Ally spearheaded a charity walk
for her National Honor Society’s big community
service project to benefit Hailey’s Hope Foundation. She and
her team of volunteers spent months brainstorming,
Here the article breaks off for records of molecules:
┌──
# 1
2 unconnected molecules or ions with the total composition C3H8N2O2. Source: the OMol25 dataset; level of theory: ωB97M-V/def2-TZVPD.

Kohn-Sham gap = 10.5 eV
E_HOMO = -9.69 eV
largest force on an atom = 0.00941 hartree/bohr
E_LUMO = 0.858 eV
energy above the lowest of the compared OMol25 structures with the same formula, charge and spin = 6.9 kcal/mol

Structure (ORCA input):
```
! wB97M-V def2-TZVPD RIJCOSX def2/J DEFGRID3
* xyz 0 1
O 0.010 2.092 0.232
C -0.524 1.009 0.142
N -0.039 -0.118 -0.455
C -0.907 -1.256 -0.269
C -2.050 -0.636 0.566
O -1.761 0.758 0.651
H 0.979 -0.176 -0.534
H -0.406 -2.072 0.265
H -1.269 -1.649 -1.226
H -2.089 -1.045 1.581
H -3.030 -0.756 0.099
N 2.631 0.724 0.150
H 2.183 1.610 -0.083
H 3.616 0.791 -0.087
H 2.574 0.662 1.164
*
```


# 2
2 unconnected molecules or ions with the total composition C2H8S2. Source: the OMol25 dataset; level of theory: ωB97M-V/def2-TZVPD.

Kohn-Sham gap = 9.7 eV
E_HOMO = -8.97 eV
largest force on an atom = 0.01029 hartree/bohr
E_LUMO = 0.757 eV
energy above the lowest of the compared OMol25 structures with the same formula, charge and spin = 3.6 kcal/mol

Structure (ORCA input):
```
! wB97M-V def2-TZVPD RIJCOSX def2/J DEFGRID3
* xyz 0 1
C 0.508 -1.189 1.459
C 1.063 -1.123 0.054
S 1.569 0.552 -0.471
H 1.216 -0.800 2.191
H -0.429 -0.642 1.552
H 0.292 -2.232 1.716
H 0.310 -1.420 -0.680
H 1.915 -1.786 -0.075
H 2.383 0.765 0.571
S -2.255 0.678 -0.318
H -2.529 -0.598 -0.009
H -3.516 0.921 -0.628
*
```


# 3
A molecular structure, CHO5Sc in a non-equilibrium geometry. Source: the OMol25 dataset; level of theory: ωB97M-V/def2-TZVPD.

Kohn-Sham gap (spin up / spin down) = 6.1 / 6.1 eV
E_HOMO (spin up / spin down) = -19.57 / -19.57 eV
largest force on an atom = 0.10961 hartree/bohr
E_LUMO (spin up / spin down) = -13.452 / -13.450 eV

Structure (ORCA input):
```
! wB97M-V def2-TZVPD RIJCOSX def2/J DEFGRID3
* xyz 2 1
O 1.533 0.909 0.600
O 0.440 -0.799 -0.492
O 0.828 -0.298 0.776
C -0.782 0.113 -0.337
O -0.912 1.069 -1.032
O -1.651 -0.506 0.423
Sc 3.098 -0.150 -0.054
H -2.554 -0.338 0.117
*
```


# 4
2 unconnected molecules or ions with the total composition C5H9N3O in a non-equilibrium geometry. Source: the OMol25 dataset; level of theory: ωB97M-V/def2-TZVPD.

Kohn-Sham gap = 8.6 eV
E_HOMO = -8.66 eV
largest force on an atom = 0.11966 hartree/bohr
E_LUMO = -0.077 eV
energy above the lowest of the compared OMol25 structures with the same formula, charge and spin = 204.9 kcal/mol

Structure (ORCA input):
```
! wB97M-V def2-TZVPD RIJCOSX def2/J DEFGRID3
* xyz 0 1
C 1.966 -0.833 -0.494
C 0.788 -0.166 0.130
C -0.519 -0.761 -0.004
C -1.429 1.388 -0.435
C 0.712 0.755 1.330
H 1.578 -1.215 -1.478
H 2.690 -1.543 0.195
H 2.793 0.003 -0.999
H -0.614 -1.798 0.541
H -0.460 -1.194 -0.975
H -2.545 -1.536 -0.520
H -2.204 1.845 -1.095
H -0.298 0.697 1.826
H 1.494 1.217 2.082
N -1.668 0.144 0.302
N -0.297 2.007 -0.545
N 0.896 1.460 -0.036
O -2.883 -0.472 0.174
*
```


# 5
└──
End of the records of molecules:
planning, getting approvals and donations. “All of the work
that goes into planning a walk seemed like a lot more than I
could handle at times, but I made sure to keep with it in
honor of Jennifer and because I believe in Hailey’s Hope
Foundation,” said Ally. On April 25, 2015, students,
friends and families gathered at the school for the walk.
It was a tremendous success and raised $1,000 for
Hailey’s Hope Foundation.
“My dad, Roger, has always been a selfless and charitable man, and he did his
best to raise my sister and me the same way. I like to think I take after him in
that aspect. The work that Hailey’s Hope Foundation does touches home for
me, and I am excited to be a part of it,” said Ally.
Ally is currently a freshman at Johnson and Wales University in Charlotte,
# Data records, kept here for reference
- - -
The following is a DFT calculation (the ωB97M-V functional and the def2-TZVPD basis) of a molecular structure, C15H41BaF3HgNO22S3Zn.

Last column: Löwdin charge in e.
Element x y z (Å)
Ba -15.10 -20.76 27.03  2.0461
Hg -17.50 -24.60 22.51  1.2762
Zn -19.44 -21.06 26.39  0.5830
S -17.74 -22.81 25.49  0.3463
O -18.70 -22.92 26.62  -0.3329
O -18.19 -21.50 24.96  -0.3515
O -16.38 -22.64 25.98  -0.5711
O -17.91 -23.84 24.49  -0.3527
S -18.84 -19.78 28.63  0.2483
O -20.14 -20.32 28.09  -0.3678
O -18.00 -20.04 27.44  -0.5075
O -18.88 -18.34 28.79  -0.3447
O -18.39 -20.46 29.82  -0.3322
C -18.08 -19.98 21.22  -0.6450
F -18.82 -19.37 22.15  0.1266
F -18.09 -19.21 20.15  0.1675
F -16.80 -20.10 21.62  0.1190
S -18.75 -21.71 20.87  0.5322
O -20.15 -21.69 21.24  -0.3131
O -18.50 -21.97 19.47  -0.2834
O -17.95 -22.56 21.79  -0.4418
C -21.23 -19.99 24.46  -0.1546
C -21.30 -21.52 24.41  -0.1536
O -21.15 -21.99 25.79  -0.0635
O -20.14 -19.52 25.26  -0.0566
H -22.23 -19.61 24.71  0.1345
H -21.15 -19.59 23.44  0.1220
H -20.47 -22.00 23.89  0.0968
H -22.19 -21.88 23.90  0.1376
H -21.82 -22.67 25.91  0.1301
H -20.08 -18.57 25.15  0.1319
C -18.59 -25.97 28.26  -0.1599
C -19.30 -26.37 26.95  -0.2274
O -20.03 -25.28 26.45  -0.0847
O -17.45 -25.11 28.00  -0.1049
H -18.19 -26.83 28.78  0.1205
H -19.27 -25.38 28.88  0.1361
H -19.99 -27.18 27.17  0.1271
H -18.52 -26.59 26.21  0.1018
H -19.48 -24.48 26.54  0.0213
H -17.78 -24.21 28.10  0.0748
C -14.19 -24.58 21.69  -0.1874
C -14.35 -24.77 23.19  -0.1510
O -15.66 -25.38 23.42  -0.2015
O -15.32 -23.78 21.33  -0.1129
H -14.25 -25.55 21.18  0.1321
H -13.31 -24.02 21.36  0.1334
H -14.40 -23.81 23.71  0.1261
H -13.63 -25.44 23.66  0.1317
H -15.60 -25.65 24.37  0.0495
H -15.40 -23.82 20.36  0.1146
C -14.13 -27.79 25.99  -0.2377
C -14.67 -26.64 26.85  -0.1701
O -15.62 -25.87 26.09  -0.1268
O -14.27 -29.06 26.57  -0.0398
H -13.07 -27.63 25.81  0.1216
H -14.61 -27.75 25.00  0.1017
H -13.87 -25.96 27.14  0.1197
H -15.25 -27.00 27.71  0.1266
H -16.12 -25.33 26.73  0.0533
H -15.16 -29.19 26.90  0.0912
C -15.62 -17.56 25.45  -0.2126
C -16.77 -18.35 24.83  -0.1969
O -16.32 -19.71 24.81  -0.2433
O -15.29 -17.97 26.77  -0.2047
H -15.79 -16.48 25.46  0.1363
H -14.74 -17.64 24.81  0.1249
H -16.95 -18.03 23.80  0.1276
H -17.66 -18.24 25.45  0.1190
- - -
# Here the entry continues
North Carolina, pursuing a Bachelor’s Degree in Baking and Pastry Arts and
Food Service Management in the honors program.
A meal for a NICU
parent at Au Bon
A Welcome Home
Care Package for a
family at discharge
Gas or metro cards
for transportation to
and from the
A one-week stay at
the Ronald
McDonald House or
overnight stay at a
local hotel
Gift card for
essential baby
A one-month
financial support
package for a NICU
December 2015
HHF hosted three fun-filled fundraisers during the year, indulging guests with delicious food, cocktails, music, and
more. HHF is incredibly grateful to all of its sponsors, donors and volunteers who helped to make these events
truly memorable.
Trivia Night, March 6th
left to right: HHF Board member Marvin
Siegel, Ron and Bernice Kravetsky, HHF
Board member Ann Siegel, Kathy Zlata,
Angie Polvere, Maria and Sal Lustica, and
Joe Zlata
Winners of the Hailey’s Hope
Trivia Cup, Carlette and Pasqual
Zottola, and David and Stephanie
Aubrey Zamonsky, Beckey and
Pete Patel, Chris and Jen
Limbert, and Stosh Zamonsky
7th Annual Dinner Auction Fundraiser, September 10th
HHF President Jeff
Randazzo, Board members
Debra Randazzo and Ann
Siegel, Vice President Donna
Zion, and Board member
Marvin Siegel
Linda Spencer, Christine
Callahan, Rosanne Callahan
and Daryl Callahan
NICU parents and
guest speakers, James
and Julie Burton
Nikki Kaye, Nicole Obligado,
and Kristin Klugman
Juan and Marisol Paneto,
HHF Board member Debra
Randazzo, Mike and Laurie
Meredith Char, Rhonda
Avery and Cheryl Fitzpatrick
Rachel and
Goshen Village Trustee Ed Char, Wayne Cutter, Judy
Annunziata, Megan Wilson and Melissa Wilson
HHF President Jeff
Randazzo, Jason Pucci and
Goshen Village Justice Rory
December 2015
4th Annual Golf Outing, October 5th
HHF member Dawn Singer, Vice
President Donna Zion, guest Nicky
Regan, and Board member Debra
HHF President Jeff
Randazzo, Nick Santoro
and Bob Hunter
Joe Taylor and Joe Willen
of Advantage Title (Title
Sponsor) and guest
John Regan, HHF Board member
Isaac Zion, Michael Rodriguez of
Alliance Building Services (Title
Sponsor) and Andrew Mathias
HHF Board members,
Ann and Marvin Siegel
David Goodman,
Matt Borstein of
Deutsche Bank
(Lunch Sponsor) and
George Duncan
Raymond Qiao, Drew
Melchionni and
Brendan Carey
Matt Cassin, David Taylor,
Steve Iorio and David
Jim Regan, Steve Blum of
Au Bon Pain (Lunch
Sponsor), and Nick Bruno
DCH Wappingers Falls Toyota held its Grand Re-Opening on Friday, November 6, 2015 at
its dealership at 1349 Route 9, Wappingers Falls, New York, and Hailey’s Hope Foundation
was proud to share in this special day. During the celebration, DCH Toyota presented
HHF with a check for $1,500 as part of its campaign to give back to the community. DCH
Toyota knows the impact this gift will have on NICU families as a member of its family
experienced HHF’s support last year.
DCH Toyota has been a wonderful supporter of HHF, and we were honored to receive this
special gift during Prematurity Awareness Month,” said Ann Siegel, HHF Board member, who
attended the event with fellow Board member, Debra Randazzo.
(pictured above: HHF Board members, Ann Siegel and Debra Randazzo with Lee Burns, General Manager of DCH
Wappingers Falls Toyota; right: HHF Board members with New York State Senator, Sue Serino)
December 2015
Shopping is now more rewarding…all year long!
You shop at Amazon. Amazon gives to HHF. It’s that simple!
AmazonSmile is an easy way to support HHF and help NICU families – at no cost
to you. Amazon will donate .05% of every dollar spent on eligible purchases to
HHF. Use your existing Amazon account and enjoy the same great products,
prices and service you always do.
How to sign up:
Go to “”.
Look for the “Eligible for AmazonSmile
Shop to your heart’s content!
Hailey’s Hope Foundation
P.O. Box 32
Goshen, New York 10924
AmazonSmile is a 501(c)(3) private
foundation created by Amazon to help
charities raise funds more easily.